Listing >
┌──
# 1
LiCo2Ge PBE-GGA relaxed; space-group type = No. 62; calculated volume = 12.5 A^3/atom; magnetic moment = 0.667 μB per atom
1.0
4.0764 0.0000 0.0000
0.0000 6.9911 0.0000
0.0000 0.0000 7.0455
Co Ge Li
8 4 4
direct
0.0005 0.0837 0.1686 Co
0.0005 0.4163 0.1686 Co
0.5005 0.5837 0.3314 Co
0.5005 0.9163 0.3314 Co
0.4995 0.0837 0.6686 Co
0.4995 0.4163 0.6686 Co
0.9995 0.5837 0.8314 Co
0.9995 0.9163 0.8314 Co
0.9990 0.7500 0.1636 Ge
0.4990 0.2500 0.3364 Ge
0.5010 0.7500 0.6636 Ge
0.0010 0.2500 0.8364 Ge
0.5012 0.2500 0.0027 Li
0.0012 0.7500 0.4973 Li
0.9988 0.2500 0.5027 Li
0.4988 0.7500 0.9973 Li

=====

# 2
TlReAgSe3 PBE-GGA relaxed; space-group type = No. 63; calculated volume = 22.9 A^3/atom; magnetic moment = 0.366 μB per atom
1.0
10.2559 0.0000 0.0000
0.0000 1.7376 7.7055
0.0000 -1.7376 7.7055
Ag Re Se Tl
2 2 6 2
direct
0.0000 0.4229 0.4229 Ag
0.5000 0.5771 0.5771 Ag
0.2500 0.0000 0.0000 Re
0.7500 0.0000 0.0000 Re
0.0000 0.0590 0.0590 Se
0.2400 0.3792 0.3792 Se
0.7600 0.3792 0.3792 Se
0.2600 0.6208 0.6208 Se
0.7400 0.6208 0.6208 Se
0.5000 0.9410 0.9410 Se
0.5000 0.2557 0.2557 Tl
0.0000 0.7443 0.7443 Tl

=====

# 3
GaAgSeS PBE-GGA relaxed; space-group type = No. 9; calculated volume = 23.8 A^3/atom
1.0
4.1893 -4.1898 0.0000
4.1893 4.1898 0.0000
-4.0924 0.0000 5.4261
Ag Ga S Se
2 2 2 2
direct
0.9987 0.7315 0.0002 Ag
0.7315 0.9987 0.5002 Ag
0.2641 0.5000 0.4998 Ga
0.5000 0.2641 0.9998 Ga
0.3783 0.5920 0.2499 S
0.5920 0.3783 0.7499 S
0.8780 0.1575 0.2501 Se
0.1575 0.8780 0.7501 Se

=====

# 4
ErNpNi PBE-GGA relaxed; space-group type = No. 216; calculated volume = 22.4 A^3/atom; magnetic moment = 0.007 μB per atom; E_form = 637 meV/atom
1.0
0.0000 3.2254 3.2254
3.2254 0.0000 3.2254
3.2254 3.2254 0.0000
Er Ni Np
1 1 1
direct
0.7500 0.7500 0.7500 Er
0.0000 0.0000 0.0000 Ni
0.2500 0.2500 0.2500 Np

=====

# 5
CsAcHo PBE-GGA relaxed; space-group type = No. 216; calculated volume = 57.7 A^3/atom; magnetic moment = 0.737 μB per atom; distance to the lowest polymorph of the same formula = 0 meV per atom
1.0
2.7379 1.2172 5.4923
1.2231 5.9115 1.6437
-3.2708 2.7104 4.5933
Ac Cs Ho
1 1 1
direct
0.5000 0.5000 0.5000 Ac
0.0000 0.0000 0.0000 Cs
0.2500 0.2500 0.2500 Ho

=====

# 6
Li2GaPd PBE-GGA relaxed; space-group type = No. 216; calculated volume = 13.9 A^3/atom
1.0
3.6846 -0.1883 2.1792
0.6709 -3.1695 2.8045
2.8554 -3.0712 -0.8805
Ga Li Pd
1 2 1
direct
0.5000 0.5000 0.5000 Ga
0.0000 0.0000 0.0000 Li
0.7500 0.7500 0.7500 Li
0.2500 0.2500 0.2500 Pd

=====

# 7
SmHf PBE-GGA relaxed; space-group type = No. 225; calculated volume = 29.0 A^3/atom; magnetic moment = 0.004 μB per atom; E_form = 1104 meV/atom; distance to the lowest polymorph of the same formula = 863 meV per atom
1.0
-0.4468 -3.9671 1.7187
1.1574 -0.7236 4.1266
-3.0444 -0.7321 3.0145
Hf Sm
1 1
direct
0.0000 0.0000 0.0000 Hf
0.5000 0.5000 0.5000 Sm

=====

# 8
LaIn2PtAu PBE-GGA relaxed; space-group type = No. 129; calculated volume = 23.7 A^3/atom; magnetic moment = 0.002 μB per atom
1.0
-0.6299 -4.5025 0.6480
3.8439 -0.1770 2.5063
-5.9601 2.1715 9.2945
Au In La Pt
2 4 2 2
direct
0.0000 0.0000 0.0000 Au
0.5000 0.5000 0.0000 Au
0.5000 0.0000 0.1361 In
0.0000 0.0000 0.5000 In
0.5000 0.5000 0.5000 In
0.0000 0.5000 0.8639 In
0.0000 0.5000 0.2570 La
0.5000 0.0000 0.7430 La
0.5000 0.0000 0.3675 Pt
0.0000 0.5000 0.6325 Pt

=====

# 9
Sr2Gd2B3 PBE-GGA relaxed; space-group type = No. 65; calculated volume = 29.3 A^3/atom; magnetic moment = 0.001 μB per atom
1.0
1.7249 -9.4951 0.0000
1.7249 9.4951 0.0000
0.0000 0.0000 6.2708
B Gd Sr
3 2 2
direct
0.0000 0.0000 0.0000 B
0.7342 0.2658 0.0000 B
0.2658 0.7342 0.0000 B
0.8668 0.1332 0.0000 Gd
0.1332 0.8668 0.0000 Gd
0.6068 0.3932 0.5000 Sr
0.3932 0.6068 0.5000 Sr

=====

# 10
LaGd2Sn3Pb4 PBE-GGA relaxed; space-group type = No. 65; calculated volume = 28.5 A^3/atom; magnetic moment = 0.000 μB per atom; distance to the lowest polymorph of the same formula = 7 meV per atom
1.0
2.3324 -12.8610 0.0000
2.3324 12.8610 0.0000
0.0000 0.0000 4.7429
└──
Job >
Search the rows earlier on for the word "distance" and give back each line that has it.
Result >
CsAcHo PBE-GGA relaxed; space-group type = No. 216; calculated volume = 57.7 A^3/atom; magnetic moment = 0.737 μB per atom; distance to the lowest polymorph of the same formula = 0 meV per atom
SmHf PBE-GGA relaxed; space-group type = No. 225; calculated volume = 29.0 A^3/atom; magnetic moment = 0.004 μB per atom; E_form = 1104 meV/atom; distance to the lowest polymorph of the same formula = 863 meV per atom
LaGd2Sn3Pb4 PBE-GGA relaxed; space-group type = No. 65; calculated volume = 28.5 A^3/atom; magnetic moment = 0.000 μB per atom; distance to the lowest polymorph of the same formula = 7 meV per atom